High-sensitivity investigation of low-lying dipole strengths in 120Sn

### Molecular data, as found in the file
# 1
DFT (ωB97M-V/def2-TZVPD) results for a 2-piece molecular cluster, C10H16 overall in a non-equilibrium geometry.

Cartesian coordinates (Å):
C1 -1.338 1.634 -0.805
C2 -0.369 2.630 -0.237
C3 -1.974 2.134 -2.169
H1 -0.932 0.637 -1.012
H2 -2.193 1.468 -0.115
H3 0.635 2.628 -0.662
H4 -1.851 3.221 -2.168
H5 -0.438 2.599 0.853
H6 -0.767 3.640 -0.513
H7 -1.608 1.538 -3.003
H8 -3.076 2.056 -2.193
C4 2.699 -0.291 0.398
C5 -0.467 -2.295 -0.155
C6 -0.716 -2.807 1.110
C7 0.592 -1.373 -0.322
C8 1.497 -1.187 0.719
C9 0.187 -2.640 2.156
C10 1.331 -1.800 1.977
H9 -1.241 -2.340 -0.928
H10 -1.580 -3.439 1.306
H11 0.710 -0.823 -1.236
H12 0.019 -3.217 3.046
H13 3.339 -0.263 1.291
H14 2.257 0.693 0.309
H15 2.038 -1.644 2.797
H16 3.248 -0.758 -0.442

Summary:
**Net charge**: -1
**Spin multiplicity**: 2
**E_HOMO (alpha / beta)**: 1.02 / -3.48 eV
**Relative energy (zero: lowest compared OMol25 entry of this formula, charge and spin)**: 0.812 eV
**Expectation value of S²**: 0.7611
**E**: -390.55339 a.u.

# 2
DFT (ωB97M-V/def2-TZVPD) results for a 2-piece molecular cluster, C5H12N2O3P overall in a non-equilibrium geometry.

Cartesian coordinates (Å):
C1 -0.036 -1.721 0.896
C2 -1.895 1.205 0.995
C3 -2.490 -0.624 -0.803
C4 0.547 1.239 -1.166
C5 -1.625 0.063 0.380
N1 1.263 -2.029 1.014
N2 -0.399 -0.510 0.568
O1 2.230 1.006 1.170
O2 2.614 -0.723 -0.633
O3 3.280 1.662 -1.033
P1 2.227 0.781 -0.470
H1 -0.721 -2.611 1.124
H2 -0.171 1.223 -0.258
H3 -2.617 1.953 0.474
H4 -1.163 1.595 1.736
H5 -2.098 -1.560 -1.085
H6 -3.611 -0.807 -0.496
H7 -2.497 0.012 -1.588
H8 0.296 0.482 -1.804
H9 0.703 2.195 -1.766
H10 1.496 -2.983 1.026
H11 1.880 -1.491 0.294
H12 2.789 1.644 1.425

Summary:
**Net charge**: -1
**E_HOMO**: -4.73 eV
**Relative energy (zero: lowest compared OMol25 entry of this formula, charge and spin)**: 0.589 eV
**E**: -874.37101 a.u.

# 3
DFT (ωB97M-V/def2-TZVPD) results for a 2-piece molecular cluster, C5H17N4 overall in a non-equilibrium geometry.

Cartesian coordinates (Å):
C1 1.191 -1.698 -1.044
C2 -2.478 -0.699 -0.095
C3 -1.176 2.134 -0.466
C4 1.925 -0.075 1.468
C5 1.429 -0.221 -1.209
N1 -1.442 -0.663 0.942
N2 -0.160 1.369 -1.114
N3 1.054 0.952 0.860
N4 0.666 0.747 -0.429
H1 1.273 -1.920 -0.040
H2 0.366 -1.954 -1.577
H3 1.982 -2.293 -1.574
H4 -3.456 -1.086 0.232
H5 -2.553 0.230 -0.466
H6 -2.240 -1.378 -0.961
H7 -0.757 3.179 0.030
H8 -1.925 2.511 -1.069
H9 -1.588 1.656 0.511
H10 1.460 -0.897 1.850
H11 2.893 -0.217 0.997
H12 2.186 0.511 2.342
H13 1.305 -0.056 -2.192
H14 2.382 0.136 -1.063
H15 -1.092 -1.623 0.974
H16 -1.880 -0.412 1.833
H17 0.636 1.767 1.260

Summary:
**Net charge**: +1
**E_HOMO**: -13.30 eV
**Relative energy (zero: lowest compared OMol25 entry of this formula, charge and spin)**: 3.058 eV
**E**: -419.32006 a.u.

# 4
DFT (ωB97M-V/def2-TZVPD) results for C6H14O2 as an isolated structure in a non-equilibrium geometry.

Cartesian coordinates (Å):
O1 0.903 -1.954 -0.708
C1 0.732 -1.146 0.291
C2 1.587 -0.082 0.884
C3 -0.217 -0.050 -0.016
C4 -1.282 0.568 0.926
Autor: Müscher, M., Wilhelmy, J., Savran, D., Schwengner, R., Massarczyk, R., Grieger, M., Isaak, J., Junghans, A. R., Kögler, T., Ludwig, F., Symochko, D., Takacs, M. P., Tamkas, M., Wagner, A., Zilges, A.
Jazyk: angličtina
Rok vydání: 2020
Zdroj: Physical Review C 102(2020), 014317
Popis: Background: The term Pygmy Dipole Resonance (PDR) denotes electric dipole excitations below and around the neutron separation threshold. It may be important, e.g., for the nucleosynthesis of heavy nuclei or the symmetry energy in the Equation of State (EoS). For a deeper understanding of the PDR systematic studies are essential. Purpose: The tin isotopic chain is a well-suited candidate to investigate the systematics of the PDR and the (g,g') reactions on 112,116,120,124Sn have already been measured in experiments using bremsstrahlung. It was claimed that the extracted electric dipole transition strengths of these isotopes increase with increasing neutron-to-proton ratio with the exception of 120 Sn. Furthermore, previous results from elastic photon scattering experiments on 120Sn are in disagreement with corresponding (p,p') Coulomb excitation data. To examine this discrepancy an additional high-sensitivity bremsstrahlung experiment on 120Sn was performed. Method: The Nuclear Resonance Fluorescence (NRF) method is used which bases on real photon scattering. The bremsstrahlung experiment presented in this work was performed with a maximum energy of E = 9.5 MeV at the gELBE facility at the Helmholtz-Zentrum Dresden-Rossendorf (HZDR). Besides a state-to-state analysis, the quasi-continuum was investigated as well. Results: Above Ex = 4 MeV 236 dipole transitions were clearly identified and 168 of those were observed for the first time. Assuming that all analyzed transitions have electric dipole character the summed electric dipole strength equals B(E1) = 374(35) e2 fm2 (0.54(5) % of the TRK sum rule) for transitions from 4 MeV to Sn = 9.1 MeV. This is an enhancement of a factor 2.3 compared to the previously published 120Sn(g,g') results. Especially, the observation of many weaker transitions in the state-to-state analysis lead to this increase. The photo-absorption cross sections deduced from the quasi-continuum analysis are about two times higher than the results of the (p,p') experiment. Conclusion: The newly extracted summed B(E1) value of the state-to-state analysis is larger than those of 112,116Sn and smaller than that of 124 Sn. The difference between the present (g,g') data and the results of the inelastic proton scattering experiment above 6.3 MeV is still striking. The deviation may be explained by unobserved decay branchings and unresolved strength. Up to now, there is no explanation for the discrepancy between the extracted photo-absorption cross sections of the analysis of the quasi-continuum and the (p,p') measurement. Additional experiments may shed light on this deviation.
Databáze: OpenAIRE